## Job
Restate everything underneath with every line break kept.

## Excerpt
Density functional theory data (ωB97M-V with the def2-TZVPD basis set) for a cluster of 2 separate species, C20H15Cl2N3O2 in total.

```
! wB97M-V def2-TZVPD RIJCOSX def2/J DEFGRID3
* xyz 0 1
Cl 2.276 -4.552 3.006
H -1.512 3.508 1.036
C 1.885 -3.031 2.348
C -1.663 -4.005 -0.417
C 1.881 0.952 0.959
H 0.598 -2.046 -2.065
C 2.274 -2.795 0.927
H 0.543 0.221 -1.326
H 1.106 2.492 -1.354
H -2.002 -5.042 -0.367
Cl 0.434 -2.419 4.526
C 0.902 -0.749 2.425
H -2.258 -0.939 0.962
O 0.044 0.022 2.859
C 2.999 -1.075 -0.701
H -1.985 5.210 -1.293
C 2.368 -1.382 0.532
C -1.159 4.744 -0.750
C -0.207 -2.334 -1.383
C -1.049 1.119 -0.220
H -2.735 3.305 -0.229
N -0.879 2.378 -0.624
C -1.812 -1.702 0.323
C -0.295 0.037 -0.643
H -0.247 4.629 -2.737
N 3.509 -0.820 -1.724
C -2.226 -3.030 0.414
N 2.065 2.094 0.769
C 1.153 -2.096 3.016
H -0.798 5.450 0.001
C -1.659 3.470 -0.056
H -2.991 -3.304 1.143
C -0.790 -1.329 -0.575
C 0.084 2.787 -1.630
H -1.840 0.976 0.524
H -0.177 -4.398 -1.953
C -0.034 4.326 -1.709
O 2.397 -3.704 0.108
H 0.916 4.775 -1.406
C -0.645 -3.647 -1.313
H -0.135 2.324 -2.607
C 1.665 -0.420 1.204
*
```

Values from the calculation:
- E_HOMO (eV) = -7.3630
- electronic energy (eV) = -54590.71522
- structure (SMILES) = N#CC1=C(C#N)C(=O)C(Cl)=C(Cl)C1=O.C(=C\N1CCCC1)/c1ccccc1
- orbital gap (eV) = 4.6848
- maximum force (eV/A) = 3.44
- LUMO energy (hartree) = -0.098

=====

ORCA calculation (ωB97M-V/def2-TZVPD) on a structure of composition C16H19ClN6O4ReS2.

E_tot = -70351.903 eV
multiplicity = 2
E_LUMO (alpha / beta) = -0.7 / -0.7 eV
HOMO level (alpha / beta) = -7.602 / -7.591 eV
charge = 0
<S²> = 0.78

Atoms and positions in Å:
Re1 0.21400 0.65919 0.13005
C1 3.52172 3.76987 1.18943
C2 2.66183 2.74028 0.50598
S1 1.36965 2.06316 1.45325
C3 2.85040 2.30666 -0.75295
C4 3.94994 2.76474 -1.66716
S2 1.79216 1.07977 -1.38806
H1 3.14290 3.98063 2.18839
H2 3.53535 4.70732 0.63049
H3 4.55162 3.42180 1.28858
H4 4.50250 3.59714 -1.23439
H5 3.54851 3.08432 -2.63010
H6 4.65516 1.95378 -1.86102
O1 -2.17410 2.97356 -2.19679
C5 -1.68861 2.03720 -1.61097
O2 -1.25519 2.03442 -0.38030
C6 -1.62484 0.66874 -2.25797
C7 -2.08803 0.48820 -3.56952
C8 -2.11780 -0.77451 -4.07616
C9 -1.79031 -1.86381 -3.23874
C10 -1.94043 -3.20561 -3.66187
C11 -1.72948 -4.23330 -2.79089
C12 -1.36708 -3.96068 -1.45522
C13 -1.17541 -2.67797 -1.03117
C14 -1.35703 -1.59731 -1.91919
N1 -1.19328 -0.30501 -1.47890
H7 -2.39187 1.36445 -4.12301
H8 -2.43289 -0.96521 -5.09489
H9 -2.24864 -3.39538 -4.68258
H10 -1.85512 -5.25768 -3.11510
H11 -1.22641 -4.77845 -0.76096
H12 -0.89822 -2.46900 -0.01108
N2 -1.71649 0.39410 1.54572
N3 -2.02593 -0.29267 2.74095
C15 -1.10243 -0.46917 3.74659
N4 -1.61040 -0.99612 4.86757
N5 0.13379 -0.14844 3.47203
N6 1.10663 -0.39258 4.42052
O3 0.82280 -0.56611 5.60966
O4 2.23785 -0.36337 4.00732
H13 -1.90826 1.39064 1.63490
H14 -2.34374 0.02818 0.83648
H15 -2.96976 -0.14059 3.06359
H16 -2.55990 -1.31785 4.90692
H17 -0.98011 -1.08840 5.65083
Cl1 1.79396 -2.27131 -0.48857
C16 1.07555 -1.19581 0.78266
H18 1.90263 -0.95147 1.44431
H19 0.40281 -1.83033 1.36134

=====

1.
Computed, not measured: a 3-piece molecular cluster, C20H32BrF6N4O5 overall, with ωB97M-V/def2-TZVPD.

**E_LUMO**: -2.75 eV
**E_HOMO**: -12.7 eV
**Total charge**: +1
**Kohn-Sham gap**: 9.932 eV
**Spin multiplicity**: 1
**Molar mass**: 602.39 g/mol

Structure (XYZ):
```
68
Properties=species:S:1:pos:R:3:lowdin_charge:R:1
H -3.5019 0.5112 -2.9567 0.117
C 0.9499 -1.0567 1.6071 -0.102
F -1.2846 -0.6967 9.4966 0.182
Br -0.3059 -3.3004 0.2968 0.775
C -4.2043 -1.0532 -1.6734 -0.163
C 0.9802 -1.0925 -0.9742 -0.140
H 0.0937 4.0180 -3.1279 0.100
C -1.8117 -0.5979 -2.2019 -0.080
H -1.8010 -1.0822 -3.1780 0.149
H 0.4975 -0.1649 2.0314 0.080
C -0.6941 0.3641 -2.1413 -0.202
H -2.0653 -1.3973 4.1160 0.095
C -1.4460 -1.7611 4.9294 -0.199
C 1.3062 1.2625 -1.7749 0.061
H 7.7689 1.8294 -3.7992 0.090
C -1.4542 -3.2735 4.9585 -0.046
C -1.2090 -1.1482 7.1828 -0.403
H -2.4645 -3.6442 5.1318 0.087
F 2.8957 3.0734 -5.7759 0.140

## Done
Density functional theory data (ωB97M-V with the def2-TZVPD basis set) for a cluster of 2 separate species, C20H15Cl2N3O2 in total.

```
! wB97M-V def2-TZVPD RIJCOSX def2/J DEFGRID3
* xyz 0 1
Cl 2.276 -4.552 3.006
H -1.512 3.508 1.036
C 1.885 -3.031 2.348
C -1.663 -4.005 -0.417
C 1.881 0.952 0.959
H 0.598 -2.046 -2.065
C 2.274 -2.795 0.927
H 0.543 0.221 -1.326
H 1.106 2.492 -1.354
H -2.002 -5.042 -0.367
Cl 0.434 -2.419 4.526
C 0.902 -0.749 2.425
H -2.258 -0.939 0.962
O 0.044 0.022 2.859
C 2.999 -1.075 -0.701
H -1.985 5.210 -1.293
C 2.368 -1.382 0.532
C -1.159 4.744 -0.750
C -0.207 -2.334 -1.383
C -1.049 1.119 -0.220
H -2.735 3.305 -0.229
N -0.879 2.378 -0.624
C -1.812 -1.702 0.323
C -0.295 0.037 -0.643
H -0.247 4.629 -2.737
N 3.509 -0.820 -1.724
C -2.226 -3.030 0.414
N 2.065 2.094 0.769
C 1.153 -2.096 3.016
H -0.798 5.450 0.001
C -1.659 3.470 -0.056
H -2.991 -3.304 1.143
C -0.790 -1.329 -0.575
C 0.084 2.787 -1.630
H -1.840 0.976 0.524
H -0.177 -4.398 -1.953
C -0.034 4.326 -1.709
O 2.397 -3.704 0.108
H 0.916 4.775 -1.406
C -0.645 -3.647 -1.313
H -0.135 2.324 -2.607
C 1.665 -0.420 1.204
*
```

Values from the calculation:
- E_HOMO (eV) = -7.3630
- electronic energy (eV) = -54590.71522
- structure (SMILES) = N#CC1=C(C#N)C(=O)C(Cl)=C(Cl)C1=O.C(=C\N1CCCC1)/c1ccccc1
- orbital gap (eV) = 4.6848
- maximum force (eV/A) = 3.44
- LUMO energy (hartree) = -0.098

=====

ORCA calculation (ωB97M-V/def2-TZVPD) on a structure of composition C16H19ClN6O4ReS2.

E_tot = -70351.903 eV
multiplicity = 2
E_LUMO (alpha / beta) = -0.7 / -0.7 eV
HOMO level (alpha / beta) = -7.602 / -7.591 eV
charge = 0
<S²> = 0.78

Atoms and positions in Å:
Re1 0.21400 0.65919 0.13005
C1 3.52172 3.76987 1.18943
C2 2.66183 2.74028 0.50598
S1 1.36965 2.06316 1.45325
C3 2.85040 2.30666 -0.75295
C4 3.94994 2.76474 -1.66716
S2 1.79216 1.07977 -1.38806
H1 3.14290 3.98063 2.18839
H2 3.53535 4.70732 0.63049
H3 4.55162 3.42180 1.28858
H4 4.50250 3.59714 -1.23439
H5 3.54851 3.08432 -2.63010
H6 4.65516 1.95378 -1.86102
O1 -2.17410 2.97356 -2.19679
C5 -1.68861 2.03720 -1.61097
O2 -1.25519 2.03442 -0.38030
C6 -1.62484 0.66874 -2.25797
C7 -2.08803 0.48820 -3.56952
C8 -2.11780 -0.77451 -4.07616
C9 -1.79031 -1.86381 -3.23874
C10 -1.94043 -3.20561 -3.66187
C11 -1.72948 -4.23330 -2.79089
C12 -1.36708 -3.96068 -1.45522
C13 -1.17541 -2.67797 -1.03117
C14 -1.35703 -1.59731 -1.91919
N1 -1.19328 -0.30501 -1.47890
H7 -2.39187 1.36445 -4.12301
H8 -2.43289 -0.96521 -5.09489
H9 -2.24864 -3.39538 -4.68258
H10 -1.85512 -5.25768 -3.11510
H11 -1.22641 -4.77845 -0.76096
H12 -0.89822 -2.46900 -0.01108
N2 -1.71649 0.39410 1.54572
N3 -2.02593 -0.29267 2.74095
C15 -1.10243 -0.46917 3.74659
N4 -1.61040 -0.99612 4.86757
N5 0.13379 -0.14844 3.47203
N6 1.10663 -0.39258 4.42052
O3 0.82280 -0.56611 5.60966
O4 2.23785 -0.36337 4.00732
H13 -1.90826 1.39064 1.63490
H14 -2.34374 0.02818 0.83648
H15 -2.96976 -0.14059 3.06359
H16 -2.55990 -1.31785 4.90692
H17 -0.98011 -1.08840 5.65083
Cl1 1.79396 -2.27131 -0.48857
C16 1.07555 -1.19581 0.78266
H18 1.90263 -0.95147 1.44431
H19 0.40281 -1.83033 1.36134

=====

1.
Computed, not measured: a 3-piece molecular cluster, C20H32BrF6N4O5 overall, with ωB97M-V/def2-TZVPD.

**E_LUMO**: -2.75 eV
**E_HOMO**: -12.7 eV
**Total charge**: +1
**Kohn-Sham gap**: 9.932 eV
**Spin multiplicity**: 1
**Molar mass**: 602.39 g/mol

Structure (XYZ):
```
68
Properties=species:S:1:pos:R:3:lowdin_charge:R:1
H -3.5019 0.5112 -2.9567 0.117
C 0.9499 -1.0567 1.6071 -0.102
F -1.2846 -0.6967 9.4966 0.182
Br -0.3059 -3.3004 0.2968 0.775
C -4.2043 -1.0532 -1.6734 -0.163
C 0.9802 -1.0925 -0.9742 -0.140
H 0.0937 4.0180 -3.1279 0.100
C -1.8117 -0.5979 -2.2019 -0.080
H -1.8010 -1.0822 -3.1780 0.149
H 0.4975 -0.1649 2.0314 0.080
C -0.6941 0.3641 -2.1413 -0.202
H -2.0653 -1.3973 4.1160 0.095
C -1.4460 -1.7611 4.9294 -0.199
C 1.3062 1.2625 -1.7749 0.061
H 7.7689 1.8294 -3.7992 0.090
C -1.4542 -3.2735 4.9585 -0.046
C -1.2090 -1.1482 7.1828 -0.403
H -2.4645 -3.6442 5.1318 0.087
F 2.8957 3.0734 -5.7759 0.140